How to Report | Abuse & Neglect | Other Resources | Non-OPA Complaints | FAQs
### Records of crystals, as found in the file
=====
Fe2MoPt3 | PBE | relaxed

POSCAR file:
```
Fe2MoPt3
1.0
2.750 0.000 0.000
0.000 2.750 0.000
0.000 0.000 11.544
Fe Mo Pt
2 1 3
Cartesian
0.000 0.000 1.861
0.000 0.000 9.683
0.000 0.000 5.772
1.375 1.375 0.000
1.375 1.375 3.769
1.375 1.375 7.776
```

Output
Raw total energy ... -7.91 eV per atom
Energy of formation from the pure elements ... -0.2662 eV per atom
Space-group type ... P4/mmm
D(E_F) ... 3.03 states/eV per cell

----------

Model P:
HfTh2Sc PBE-GGA optimized geometry; SG = P4/mmm
1.0
3.749 0.000 0.000
0.000 3.749 0.000
0.000 0.000 7.858
Th Sc Hf
2 1 1
Direct
0.000 0.000 0.743
0.000 0.000 0.257
0.500 0.500 0.000
0.500 0.500 0.500

Model Q:
HfTh2Sc PBE-GGA optimized geometry; SG = R-3m
1.0
-2.926 -1.344 0.773
-0.228 -3.254 0.572
1.137 0.342 11.991
Th Hf Sc
2 1 1
Direct
0.914 0.914 0.257
0.086 0.086 0.743
0.000 0.000 0.000
0.500 0.500 0.500

Which structure is the most stable? The one labeled model P.

----------

#1
{
  "formula": "AlAsSe2I",
  "functional": "GGA-PBEsol",
  "state": "optimized geometry",
  "volume_a3_per_atom": 23.49,
  "spacegroup": "P4/mmm",
  "lattice": [[4.771, 0.000, 0.000], [0.000, 4.771, 0.000], [0.000, 0.000, 5.161]],
  "species": ["Al", "As", "Se", "Se", "I"],
  "frac_coords": [[0.000, 0.000, 0.000], [0.000, 0.000, 0.500], [0.000, 0.500, 0.000], [0.500, 0.000, 0.000], [0.500, 0.500, 0.500]]
}

#2
{
  "formula": "AlAsSe2I",
  "functional": "GGA-PBEsol",
  "state": "optimized geometry",
  "volume_a3_per_atom": 30.23,
  "spacegroup": "P4/mmm",
  "lattice": [[5.355, 0.000, 0.000], [0.000, 5.355, 0.000], [0.000, 0.000, 5.272]],
  "species": ["Al", "As", "Se", "Se", "I"],
  "frac_coords": [[0.000, 0.000, 0.000], [0.500, 0.500, 0.000], [0.000, 0.500, 0.500], [0.500, 0.000, 0.500], [0.500, 0.500, 0.500]]
}

Looking at the structures above, #1 is most stable, and the difference to the next one is 734 meV/atom.
=====
Tamara B. Starks, Director
Created in 2022, the Office of Prevention and Accountability (OPA) supports the Chicago Park District’s commitment to providing an equitable, inclusive, safe, and respectful recreation and work environment free from discrimination, harassment, sexual harassment, sexual misconduct, workplace violence, abuse and neglect of children and vulnerable adults, and retaliation.
OPA works to ensure that thorough, fair, and independent investigations are conducted in response to any alleged violation of the Human Rights Ordinance – Chapter IV of the Chicago Park District Code. This includes allegations of discrimination and harassment in violation of the following Chicago Park District policies:
- Equal Employment Opportunity Policy
- Gender Diversity Policy
- Sexual Harassment Prevention Policy
- Violence in the Workplace Policy
OPA also handles investigations and provides guidance related to the Chicago Park District’s Child Abuse and Neglect Policy and Adult Protective Services Policy.
How to Report?
If you are in immediate fear for your safety or in any other emergency, please call 911. To report discrimination, harassment, sexual misconduct, workplace violence, or retaliation to OPA, please use one of the following options:
- Online: Submit online complaint
- By telephone (Confidential Hotline): (312) 742-5OPA (312-742-5672)
- By email:
Abuse and Neglect of Children and Vulnerable Adults
All Chicago Park District employees are required to report to the Illinois Department of Children and Family Services (DCFS) if they have reasonable cause to believe that a child may be abused or neglected. Child Abuse and Neglect Reports are made by calling the DCFS Hotline at (800) 252-2873 (800-25-ABUSE). More information is available on the DCFS website at:
Park District employees who suspect elder abuse should contact Adult Protective Services (APS) through the Illinois Department on Aging’s hotline at (866) 800-1409 For deaf and speech-impaired communication over the telephone, dial Illinois Relay at 711. More information is available on the APS website at
Employees should notify their area manager and OPA immediately after reporting any concern of abuse or neglect to either DCFS or APS.
Other Resources
- Chicago Children’s Advocacy Center: (312) 492-3700. The Chicago CAC is the city’s only nonprofit organization that coordinates the efforts of child protection staff, law enforcement professionals, family advocates, medical experts, and mental health clinicians under one roof. For more information, go to
- Chicago Rape Crisis Hotline: (888) 293-2080. Operating 24 hours a day, 7 days a week, the Rape Crisis Hotline provides survivors of sexual violence and their significant others immediate support, crisis intervention, and referrals. More information is available at Rape Crisis Hotline - YWCA Metropolitan Chicago (
- Resilience: (312) 443-9603. Resilience is a not-for-profit organization dedicated to the healing and empowerment of sexual assault survivors through non-judgmental crisis intervention counseling, individual and group trauma therapy, and medical and legal advocacy. For more information, go to
- Chicago Park District Employee Assistance Program (EAP): (877) 215-6614
Non-OPA Complaints
OPA handles complaints related to discrimination, harassment, sexual harassment, sexual misconduct, workplace violence, abuse and neglect of children and vulnerable adults, and retaliation. Below is a list of Park District offices that can assist with concerns in other areas:
- Chicago Park District Office of Inspector General (OIG): (312) 742-3333 The Office of the Inspector General investigates allegations of fraud, waste, and abuse or misconduct by Chicago Park District employees, Board members, contractors, agents, or volunteers. This includes mismanagement of Park District resources, and theft, bribery, or ethics violations. More information about the CPD OIG is available at
- Chicago Park District Risk Management: (312) 735-8888. Risk management handles questions and complaints on issues related to health and safety, including accidents, biohazard waste disposal, insurance claims, safety trainings, and Worker’s Compensation. More information is available at
- Chicago Park District Human Resources: (312) 742-5220. Please contact Human Resources for concerns related to hiring, compensation, benefits, and labor relations. For more information, please visit
- Chicago Park District Disability Policy Office: (312) 742-4298 or Email: The Disability Policy Office oversees issues related to the Americans with Disabilities Act, the Illinois Accessibility Code, and the Chicago Building Code and works to identify ways to improve accessibility at Park facilities. For more information, please visit
- FAQs for Patrons
Community Members
I am not a Park District employee, does the Chicago Park District Ordinance apply to me?
Yes. The Park District’s Human Rights Ordinance covers Park District participants and patrons in addition to employees, applicants for employment, Board members, officers, officials, contractors, consultants, vendors, volunteers, and coaches.
Who can make complaints to OPA?
Complaints may be made by anyone (e.g., park patrons, community members, employees, and vendors).
What types of complaints does OPA investigate?
The complaint must relate to the conduct under OPA’s jurisdiction - discrimination, harassment, sexual harassment, sexual misconduct, workplace violence, abuse and neglect of children and vulnerable adults, and retaliation. Complaints referencing other actions not related to the Park District’s Human Rights Ordinance, Sexual Harassment Policy, EEO Policy or Violence in the Workplace Policy will be referred to the appropriate department or external agency.
Are there time limits for filing a complaint?
OPA will not limit the time frame for an individual to report violations of the Human Rights Ordinance.
Can I file a complaint anonymously?
Yes, complaints can be made anonymously. OPA recommends that you provide as much detail as possible when filing a complaint anonymously.
Can I be retaliated against for filing a complaint or cooperating with an OPA investigation?
Retaliation is prohibited under the Park District’s Human Rights Ordinance. Any concern or knowledge of retaliation should be reported to OPA.
If I file with the Chicago Commission on Human Relations, Illinois Department of Human Rights, or Equal Employment Opportunity Commission, can I still file a complaint with OPA?
Yes. Please inform OPA of any other reports you have made related to the allegations in your complaint.
Are OPA’s investigations confidential?
OPA’s investigations are generally confidential. OPA will take all steps possible to ensure your confidentially is protected.
If I talk to OPA, will everyone know?
OPA’s reports will not mention the name of any informant, complainant, witness, or person investigated, except as necessary to communicate and/or recommended penalties for violations of the Human Right Ordinance or unless otherwise authorized by the General Superintendent.
How long does it take to complete an investigation?
OPA is committed to completing investigations as expeditiously as possible. The length of time it takes to complete a thorough investigation will vary based on a number of factors, including the nature of the allegation, the number of interviews required, documents analyzed to identify facts, the degree of cooperation, and other factors.
Are OPA’s reports made public?
Quarterly and annual reports shall be made public via the Park District’s website after they have been submitted to the General Superintendent and Board.
What should I do if I feel my safety or the safety of others is in danger?
Please call 911 immediately.
Additional Questions
If you have additional questions, please email us at
- FAQs for Employees, Vendors & Volunteers
Who can make complaints to OPA?
Complaints may be made by anyone (e.g., park patrons, community members, employees, and vendors).
What types of complaints does OPA investigate?
The complaint must relate to the conduct under OPA’s jurisdiction - discrimination, harassment, sexual harassment, sexual misconduct, workplace violence, abuse and neglect of children and vulnerable adults, and retaliation. Complaints referencing other actions not related to the Park District’s Human Rights Ordinance, Sexual Harassment Policy, EEO Policy or Violence in the Workplace Policy will be referred to the appropriate department or external agency.
Are there time limits for filing a complaint?
OPA will not limit the time frame for an individual to report violations of the Human Rights Ordinance.
What happens if I am a supervisor and someone submits a complaint to me?
Any Park District supervisor or manager level employee who receives a report or reasonably suspects a violation of the Human Rights Ordinance shall refer the matter in writing to OPA within five business days.
Can I file a complaint anonymously?
Yes, complaints can be made anonymously. OPA recommends that you provide as much detail as possible when filing a complaint anonymously.
Can I be retaliated against for filing a complaint or cooperating with an OPA investigation?
Retaliation is prohibited under the Park District’s Human Rights Ordinance. Any concern or knowledge of retaliation should be reported to OPA.
If I file with CCHR, IDHR, or EEOC can I still file a complaint with OPA?
Yes. Please inform OPA of any other reports you have made related to the allegations in your complaint.
Are OPA’s investigations confidential?
OPA’s investigations are generally confidential. OPA will take all steps possible to ensure your confidentially is protected.
If I talk to OPA, will everyone know?
OPA’s reports will not mention the name of any informant, complainant, witness, or person investigated, except as necessary to communicate and/or recommended penalties for violations of the Human Right Ordinance or unless otherwise authorized by the General Superintendent.
How long does it take to complete an investigation?
OPA is committed to completing investigations as expeditiously as possible. The length of time it takes to complete a thorough investigation will vary based on a number of factors, including the nature of the allegation, the number of interviews required, documents analyzed to identify facts, the degree of cooperation, and other factors.
Are OPA’s reports made public?
Quarterly and annual reports will be made public via the Park District’s website after they have been submitted to the General Superintendent and Board.
Employee Duties and Responsibilities
Which employees have a duty to cooperate with OPA?
All Chicago Park District officials, employees, departments, volunteers, contractors, and subcontractors must cooperate with OPA in any investigation.
I suspect a child or vulnerable adult may be the victim of abuse or neglect, but I do not have proof. What should I do?
As mandated reporters, all employees are required to contact the Illinois Department of Children and Family Services (“DCFS”) hotline 1-800-25ABUSE or the Adult Protective Services (“APS”) hotline 1-866-800-1409 to report any suspected case of child or vulnerable adult abuse or neglect. Employees are also required to notify their area manager immediately after a report has been made.
I filed a complaint with OPA and shared my concerns of suspected child or vulnerable adult abuse or neglect. Do I still need to contact DCFS or APS?
Yes. Employees must report the matter to OPA; however, making a report to OPA does not relieve or excuse an employee from their duty to directly and immediately report to DCFS or APS.
What should I do if I feel my safety or the safety of others is in danger?
Please call 911 immediately.
Resources for Employees
Will OPA provide trainings to help District employees better understand what is required under the Human Rights Ordinance, Sexual Harassment Policy, EEO Policy and the Violence in the Workplace Policy?
OPA will collaborate with Workforce Development to provide the Mandated Reporter and Sexual Harassment trainings required by Illinois law and Chicago’s ordinances. Additionally, OPA will be working to develop other educational opportunities to ensure that District employees are informed about important issues and have the tools needed to succeed.
Can OPA provide guidance if I am not sure whether what I have seen or experienced qualifies as harassment or discrimination?
Yes. Questions can be referred to OPA by phone at (312) 742-5OPA or via email at . Anyone who witnesses or experiences something that raises a concern should not hesitate to reach out to OPA.
Additional Questions
If you have additional questions, please email us at